• Data:
+++
# C4H5NO2

A cluster of 2 separate species, C4H5NO2 in total at a distorted geometry (the ωB97M-V functional and the def2-TZVPD basis, the OMol25 dataset).

Values from the calculation:
Frontier orbital gap ... 9.417 eV
SMILES string ... CC(=O)C=O.C#N

Last column: Löwdin charge in e.
Cartesian coordinates (Å):
C1 0.910 -0.667 0.447  -0.018
C2 -0.042 -0.343 -0.662  -0.395
O1 -1.253 -0.396 -0.593  0.055
C3 0.564 0.117 -1.992  -0.167
O2 1.752 0.204 -2.174  0.088
H1 1.840 -1.076 0.045  0.085
H2 0.441 -1.355 1.153  0.092
H3 1.151 0.259 0.985  0.089
H4 -0.194 0.354 -2.764  0.130
C4 -1.753 0.964 1.846  -0.083
N1 -0.871 1.352 2.484  0.067
H5 -2.545 0.586 1.226  0.058

Atoms 1-6, force components in eV/Å:
C 0.0 -0.1 0.1
C -0.3 0.0 0.1
O 0.5 0.0 -0.1
C 0.4 0.1 -0.2
O -0.6 0.0 0.1
H -0.1 0.1 0.1

***

# C18H35Br2Cl4FKLiMgN2O18PSi2

A structure of composition C18H35Br2Cl4FKLiMgN2O18PSi2 at a distorted geometry (the ωB97M-V functional and the def2-TZVPD basis, the OMol25 dataset).

Values from the calculation:
Total charge ... +1
Frontier orbital gap ... 1.990 eV

Last column: Löwdin charge in e.
Cartesian coordinates (Å):
C1 1.591 -0.665 0.793  -0.092
C2 1.023 0.854 0.740  -0.227
O1 -0.384 0.925 0.386  -0.192
C3 -0.615 1.761 -0.767  -0.164
C4 -0.777 0.820 -2.069  -0.168
O2 -2.079 0.178 -1.996  -0.244
C5 -2.070 -1.141 -2.593  -0.259
Si1 -1.658 -2.399 -1.173  0.580
O3 -1.261 -3.904 -1.928  -0.423
Si2 0.374 -4.401 -1.605  0.685
C6 1.693 -3.281 -2.509  -0.490
O4 2.875 -3.336 -2.095  0.011
N1 1.197 -2.476 -3.658  -0.008
C7 1.915 -1.177 -3.824  -0.515
O5 2.506 -0.541 -2.947  0.119
F1 1.854 -0.556 -5.165  -0.078
P1 -3.270 -2.548 0.344  0.534
O6 -3.238 -1.325 1.297  -0.339
O7 -4.782 -2.487 -0.547  -0.927
O8 -3.114 -4.042 1.282  -0.455
H1 1.646 -1.146 -0.258  0.049
H2 2.618 -0.663 1.288  0.088
H3 0.894 -1.342 1.414  0.076
H4 1.108 1.240 1.826  0.130
H5 1.708 1.414 0.015  0.127
H6 0.170 2.571 -0.936  0.134
H7 -1.633 2.296 -0.639  0.140
H8 0.099 0.088 -2.045  0.102
H9 -0.741 1.432 -3.045  0.146
H10 -3.067 -1.415 -3.108  0.099
H11 -1.200 -1.224 -3.338  0.090
H12 -0.492 -1.849 -0.479  0.009
H13 0.658 -4.381 -0.176  0.007
H14 0.619 -5.758 -2.141  0.004
H15 1.413 -3.067 -4.520  -0.120
H16 -5.186 -1.573 -0.308  -0.197
H17 -2.355 -3.959 1.916  0.111
Mg1 2.737 -2.765 -5.298  0.734
C8 3.326 4.114 3.474  -0.039
O9 3.582 3.624 2.158  -0.007
C9 4.759 4.013 1.643  -0.595
O10 5.575 4.715 2.190  0.115
O11 4.869 3.485 0.413  -0.005
C10 6.082 3.818 -0.262  -0.038
H18 2.352 3.739 3.788  0.092
H19 4.079 3.748 4.175  0.101
H20 3.292 5.206 3.478  0.086
H21 6.946 3.440 0.290  0.102
H22 6.159 4.898 -0.408  0.090
H23 6.062 3.339 -1.241  0.096
C11 1.128 7.645 3.851  -0.157
O12 0.634 6.315 3.777  -0.138
H24 2.217 7.619 3.799  0.074
H25 0.741 8.229 3.013  0.078
H26 0.823 8.100 4.796  0.078
H27 -0.329 6.365 3.826  0.076
C12 -6.600 -3.498 2.564  -1.870
Cl1 -5.054 -3.419 1.691  0.650
Cl2 -7.185 -1.855 2.891  0.624
Cl3 -7.794 -4.369 1.568  0.587
Cl4 -6.363 -4.362 4.100  0.580
C13 2.172 -7.667 -0.054  -0.885
O13 2.643 -8.269 0.900  0.284
O14 2.177 -8.073 -1.232  0.320
O15 1.615 -6.551 0.004  0.212
C14 -2.247 -7.590 1.485  -0.827
O16 -1.636 -6.664 2.101  -0.076
O17 -3.548 -7.663 1.894  0.020
O18 -1.872 -8.380 0.617  0.035
H28 -3.400 -6.934 2.512  -0.015
K1 -5.585 -4.347 -0.500  0.807
Br1 -8.286 1.924 -2.015  0.640
C15 -6.546 1.596 -2.826  -0.679
C16 -6.350 0.129 -3.123  -0.552
Br2 -5.933 -0.878 -1.500  1.061
H29 -5.796 2.003 -2.148  0.060
H30 -6.548 2.177 -3.750  0.068
H31 -5.488 -0.019 -3.776  0.069
H32 -7.225 -0.341 -3.571  0.067
C17 7.699 7.533 1.131  -0.066
C18 7.621 8.022 -0.284  -0.259
N2 7.559 8.406 -1.398  0.104
H33 8.654 7.032 1.298  0.080
H34 7.612 8.374 1.820  0.078
H35 6.889 6.827 1.326  0.051
Li1 -4.250 -5.712 3.379  0.750

Atoms 1-6, force components in eV/Å:
C -0.8 0.0 -0.2
C 1.1 -1.3 1.1
O 1.2 0.9 -1.1
C -1.4 -0.2 -1.1
C 0.6 1.3 0.4
O 0.7 -0.7 -0.4

***

# C6H11N
+++
• Job:
Set down everything above with every line break kept.
• Here it is:
# C4H5NO2

A cluster of 2 separate species, C4H5NO2 in total at a distorted geometry (the ωB97M-V functional and the def2-TZVPD basis, the OMol25 dataset).

Values from the calculation:
Frontier orbital gap ... 9.417 eV
SMILES string ... CC(=O)C=O.C#N

Last column: Löwdin charge in e.
Cartesian coordinates (Å):
C1 0.910 -0.667 0.447  -0.018
C2 -0.042 -0.343 -0.662  -0.395
O1 -1.253 -0.396 -0.593  0.055
C3 0.564 0.117 -1.992  -0.167
O2 1.752 0.204 -2.174  0.088
H1 1.840 -1.076 0.045  0.085
H2 0.441 -1.355 1.153  0.092
H3 1.151 0.259 0.985  0.089
H4 -0.194 0.354 -2.764  0.130
C4 -1.753 0.964 1.846  -0.083
N1 -0.871 1.352 2.484  0.067
H5 -2.545 0.586 1.226  0.058

Atoms 1-6, force components in eV/Å:
C 0.0 -0.1 0.1
C -0.3 0.0 0.1
O 0.5 0.0 -0.1
C 0.4 0.1 -0.2
O -0.6 0.0 0.1
H -0.1 0.1 0.1

***

# C18H35Br2Cl4FKLiMgN2O18PSi2

A structure of composition C18H35Br2Cl4FKLiMgN2O18PSi2 at a distorted geometry (the ωB97M-V functional and the def2-TZVPD basis, the OMol25 dataset).

Values from the calculation:
Total charge ... +1
Frontier orbital gap ... 1.990 eV

Last column: Löwdin charge in e.
Cartesian coordinates (Å):
C1 1.591 -0.665 0.793  -0.092
C2 1.023 0.854 0.740  -0.227
O1 -0.384 0.925 0.386  -0.192
C3 -0.615 1.761 -0.767  -0.164
C4 -0.777 0.820 -2.069  -0.168
O2 -2.079 0.178 -1.996  -0.244
C5 -2.070 -1.141 -2.593  -0.259
Si1 -1.658 -2.399 -1.173  0.580
O3 -1.261 -3.904 -1.928  -0.423
Si2 0.374 -4.401 -1.605  0.685
C6 1.693 -3.281 -2.509  -0.490
O4 2.875 -3.336 -2.095  0.011
N1 1.197 -2.476 -3.658  -0.008
C7 1.915 -1.177 -3.824  -0.515
O5 2.506 -0.541 -2.947  0.119
F1 1.854 -0.556 -5.165  -0.078
P1 -3.270 -2.548 0.344  0.534
O6 -3.238 -1.325 1.297  -0.339
O7 -4.782 -2.487 -0.547  -0.927
O8 -3.114 -4.042 1.282  -0.455
H1 1.646 -1.146 -0.258  0.049
H2 2.618 -0.663 1.288  0.088
H3 0.894 -1.342 1.414  0.076
H4 1.108 1.240 1.826  0.130
H5 1.708 1.414 0.015  0.127
H6 0.170 2.571 -0.936  0.134
H7 -1.633 2.296 -0.639  0.140
H8 0.099 0.088 -2.045  0.102
H9 -0.741 1.432 -3.045  0.146
H10 -3.067 -1.415 -3.108  0.099
H11 -1.200 -1.224 -3.338  0.090
H12 -0.492 -1.849 -0.479  0.009
H13 0.658 -4.381 -0.176  0.007
H14 0.619 -5.758 -2.141  0.004
H15 1.413 -3.067 -4.520  -0.120
H16 -5.186 -1.573 -0.308  -0.197
H17 -2.355 -3.959 1.916  0.111
Mg1 2.737 -2.765 -5.298  0.734
C8 3.326 4.114 3.474  -0.039
O9 3.582 3.624 2.158  -0.007
C9 4.759 4.013 1.643  -0.595
O10 5.575 4.715 2.190  0.115
O11 4.869 3.485 0.413  -0.005
C10 6.082 3.818 -0.262  -0.038
H18 2.352 3.739 3.788  0.092
H19 4.079 3.748 4.175  0.101
H20 3.292 5.206 3.478  0.086
H21 6.946 3.440 0.290  0.102
H22 6.159 4.898 -0.408  0.090
H23 6.062 3.339 -1.241  0.096
C11 1.128 7.645 3.851  -0.157
O12 0.634 6.315 3.777  -0.138
H24 2.217 7.619 3.799  0.074
H25 0.741 8.229 3.013  0.078
H26 0.823 8.100 4.796  0.078
H27 -0.329 6.365 3.826  0.076
C12 -6.600 -3.498 2.564  -1.870
Cl1 -5.054 -3.419 1.691  0.650
Cl2 -7.185 -1.855 2.891  0.624
Cl3 -7.794 -4.369 1.568  0.587
Cl4 -6.363 -4.362 4.100  0.580
C13 2.172 -7.667 -0.054  -0.885
O13 2.643 -8.269 0.900  0.284
O14 2.177 -8.073 -1.232  0.320
O15 1.615 -6.551 0.004  0.212
C14 -2.247 -7.590 1.485  -0.827
O16 -1.636 -6.664 2.101  -0.076
O17 -3.548 -7.663 1.894  0.020
O18 -1.872 -8.380 0.617  0.035
H28 -3.400 -6.934 2.512  -0.015
K1 -5.585 -4.347 -0.500  0.807
Br1 -8.286 1.924 -2.015  0.640
C15 -6.546 1.596 -2.826  -0.679
C16 -6.350 0.129 -3.123  -0.552
Br2 -5.933 -0.878 -1.500  1.061
H29 -5.796 2.003 -2.148  0.060
H30 -6.548 2.177 -3.750  0.068
H31 -5.488 -0.019 -3.776  0.069
H32 -7.225 -0.341 -3.571  0.067
C17 7.699 7.533 1.131  -0.066
C18 7.621 8.022 -0.284  -0.259
N2 7.559 8.406 -1.398  0.104
H33 8.654 7.032 1.298  0.080
H34 7.612 8.374 1.820  0.078
H35 6.889 6.827 1.326  0.051
Li1 -4.250 -5.712 3.379  0.750

Atoms 1-6, force components in eV/Å:
C -0.8 0.0 -0.2
C 1.1 -1.3 1.1
O 1.2 0.9 -1.1
C -1.4 -0.2 -1.1
C 0.6 1.3 0.4
O 0.7 -0.7 -0.4

***

# C6H11N